Entries
~~~
Entry 1:
{
  "formula": "SmPa3",
  "functional": "PBE",
  "state": "relaxed",
  "cell": [[-0.1514, -4.2023, -2.1682], [4.7162, -0.2915, 0.2357], [-0.3430, -2.1538, 4.1984]],
  "species": ["Pa", "Pa", "Pa", "Sm"],
  "fractional_positions": [[0.5000, 0.5000, 0.0000], [0.5000, 0.0000, 0.5000], [0.0000, 0.5000, 0.5000], [0.0000, 0.0000, 0.0000]],
  "e_above_lowest_polymorph_mev_per_atom": 23,
  "space_group": "Pm-3m, No. 221",
  "magmom_total_mub_per_fu": 0.00,
  "e_tot_ha_per_atom": -0.29680,
  "formation_energy_ev_per_atom": 0.23
}

---

Entry 2:
{
  "formula": "SmPa2",
  "functional": "PBE",
  "state": "relaxed",
  "cell": [[-1.3635, -1.1556, -5.9125], [4.0609, -2.9714, -3.5821], [-1.1506, -5.7861, -1.8301]],
  "species": ["Pa", "Pa", "Pa", "Pa", "Sm", "Sm"],
  "fractional_positions": [[0.6250, 0.6250, 0.1250], [0.6250, 0.6250, 0.6250], [0.6250, 0.1250, 0.6250], [0.1250, 0.6250, 0.6250], [0.2500, 0.2500, 0.2500], [0.0000, 0.0000, 0.0000]],
  "e_above_lowest_polymorph_mev_per_atom": 55,
  "space_group": "Fd-3m, No. 227",
  "magmom_total_mub_per_fu": 0.00,
  "e_tot_ha_per_atom": -0.28157,
  "formation_energy_ev_per_atom": 0.24
}

---

Entry 3:
{
  "formula": "SmPa4",
  "functional": "PBE",
  "state": "relaxed",
  "cell": [[-2.5603, 3.2444, -3.4323], [1.2280, -3.3126, -4.0473], [-4.5605, -2.7133, 0.8371]],
  "species": ["Pa", "Pa", "Pa", "Pa", "Sm"],
  "fractional_positions": [[0.5000, 0.5000, 0.0000], [0.0000, 0.0000, 0.0000], [0.5000, 0.0000, 0.5000], [0.0000, 0.5000, 0.5000], [0.5000, 0.5000, 0.5000]],
  "space_group": "Pm-3m, No. 221",
  "magmom_total_mub_per_fu": 0.88,
  "e_tot_ha_per_atom": -0.25874,
  "formation_energy_ev_per_atom": 1.50
}

~~~~~

A plane-wave DFT calculation with GGA+U was carried out for a relaxed structure of Na4Ni3GeO8.

Values from the calculation:
* space group: No. 12
* E_tot: -4.92 eV/atom
* magnetic moment: 0.2500 μB/atom

Cell lengths 5.9747, 5.9747, 6.3873 Å; angles 118.45, 118.45, 61.08 degrees
With the nearest neighbours (Å) after each atom.
Sites, in units of the cell vectors:
Na 0.0000 0.0000 0.0000  6 O 2.39-2.45
Na 0.0000 0.5000 0.0000  6 O 2.28-2.48
Na 0.5000 0.0000 0.0000  6 O 2.28-2.48
Na 0.5000 0.5000 0.0000  6 O 2.31-2.34
Ni 0.0000 0.0000 0.5000  6 O 2.05-2.11
Ni 0.0000 0.5000 0.5000  6 O 1.96-2.16
Ni 0.5000 0.0000 0.5000  6 O 1.96-2.16
Ge 0.5000 0.5000 0.5000  6 O 1.91-1.98
O 0.2380 0.2380 0.6833  3 Ni 1.96-2.05
O 0.2423 0.7142 0.6930  2 Ni 1.96-2.11, 1 Ge 1.98
O 0.2774 0.2774 0.2872  1 Ge 1.91
O 0.2858 0.7577 0.3070  2 Ni 1.96-2.11, 1 Ge 1.98
O 0.7142 0.2423 0.6930  2 Ni 1.96-2.11, 1 Ge 1.98
O 0.7226 0.7226 0.7128  1 Ge 1.91
O 0.7577 0.2858 0.3070  2 Ni 1.96-2.11, 1 Ge 1.98
O 0.7620 0.7620 0.3167  3 Ni 1.96-2.05

~~~~~

(1)
First-principles (PBE-GGA) data for crystalline RbSnGe2S6 at its relaxed geometry, as listed in the Alexandria database.

Summary:
V ... 28.0 Å³/atom
ρ ... 3212 kg/m3
Formation energy from raw total energies ... -0.365 eV/atom

Cell lengths 6.463, 9.388, 9.388 Å; angles 94.91, 83.81, 83.81 degrees
Positions (direct):
Rb1 0.250 0.898 0.102
Rb2 0.750 0.102 0.898
Sn1 0.250 0.270 0.730
Sn2 0.750 0.730 0.270
Ge1 0.262 0.786 0.628
Ge2 0.238 0.372 0.214
Ge3 0.738 0.214 0.372
Ge4 0.762 0.628 0.786
S1 0.230 0.986 0.778
S2 0.270 0.222 0.014
S3 0.770 0.014 0.222
S4 0.730 0.778 0.986
S5 0.388 0.841 0.416
S6 0.112 0.584 0.159
S7 0.612 0.159 0.584
S8 0.888 0.416 0.841
S9 0.934 0.717 0.594
S10 0.566 0.406 0.283
S11 0.066 0.283 0.406
S12 0.434 0.594 0.717

(2)
First-principles (PBE-GGA) data for crystalline Rb2SrGeS4 at its relaxed geometry, as listed in the Alexandria database.

Summary:
V ... 33.6 Å³/atom
ρ ... 2837 kg/m3
Formation energy from raw total energies ... -1.114 eV/atom

Cell lengths 6.530, 9.582, 8.597 Å; angles 90.00, 90.00, 90.00 degrees
Positions (direct):
Rb1 0.439 0.358 0.288
Rb2 0.439 0.358 0.712
Rb3 0.939 0.642 0.788
Rb4 0.939 0.642 0.212
Sr1 0.953 0.100 0.500
Sr2 0.453 0.900 0.000
Ge1 0.522 0.826 0.500
Ge2 0.022 0.174 0.000
S1 0.362 0.184 0.000
~~~

Assignment
Please count the lines earlier on that contain the word "species" and give the number alone.

Reply
3